# Data
18
Properties=species:S:1:pos:R:3:lowdin_charge:R:1 method="wB97M-V/def2-TZVPD" gap_ev=9.9 smiles=N[C@H](CO)CCO e_homo_ev=-8.95 multiplicity=1 lumo_energy_ev=0.9 charge=0 energy_ev=-9910.30459
C -1.440 -1.042 0.601 -0.249
O -2.532 -1.616 -0.108 -0.051
C -0.487 -0.103 -0.128 -0.394
C 0.825 0.132 0.683 -0.124
C 1.807 0.847 -0.219 -0.265
O 2.719 -0.053 -0.865 -0.075
N -1.164 1.169 -0.460 0.042
H -0.759 -1.860 0.852 0.110
H -1.787 -0.642 1.563 0.129
H -2.287 -2.515 -0.308 0.077
H -0.286 -0.582 -1.099 0.141
H 0.472 0.782 1.483 0.122
H 1.145 -0.896 0.868 0.118
H 1.238 1.300 -1.037 0.108
H 2.412 1.613 0.272 0.114
H -2.145 1.193 -0.240 0.067
H 2.929 0.313 -1.731 0.082
H -0.661 1.960 -0.127 0.048

118
Properties=species:S:1:pos:R:3:lowdin_charge:R:1 method="wB97M-V/def2-TZVPD" gap_ev=5.9 e_homo_ev=-7.51 multiplicity=1 lumo_energy_ev=-1.6 charge=0 energy_ev=-216503.55988
Y 0.566 -0.554 0.093 1.302
C 3.432 -1.416 -4.837 -0.092
C 2.683 -1.651 -3.528 -0.695
C 3.702 -2.023 -2.441 -0.082
C 1.709 -2.828 -3.705 -0.090
P 1.723 -0.190 -2.876 1.122
C 3.072 0.992 -2.423 -0.321
N 3.330 1.067 -1.008 -0.039
B 2.407 0.878 0.116 -0.506
N 3.228 1.294 1.254 -0.033
C 2.896 1.445 2.651 -0.317
P 1.280 0.693 3.163 1.124
C 0.588 2.155 4.109 -0.682
C 1.526 2.889 5.079 -0.087
C -0.660 1.716 4.890 -0.100
C 0.164 3.152 3.006 -0.114
C 1.819 -0.668 4.318 -0.702
C 2.370 -0.220 5.671 -0.091
C 2.906 -1.474 3.594 -0.089
C 0.604 -1.591 4.533 -0.099
C 4.494 1.704 0.828 -0.176
C 5.574 2.196 1.547 -0.018
C 6.730 2.551 0.846 -0.106
C 6.790 2.422 -0.538 -0.106
C 5.698 1.935 -1.262 -0.018
C 4.556 1.570 -0.564 -0.175
C 0.958 0.817 -4.268 -0.682
C 0.178 1.950 -3.574 -0.103
C 1.940 1.466 -5.254 -0.089
C -0.032 -0.036 -5.073 -0.088
H 4.105 -2.266 -5.003 0.091
H 4.047 -0.513 -4.817 0.074
H 2.761 -1.359 -5.698 0.069
H 4.124 -3.005 -2.689 0.099
H 3.271 -2.098 -1.443 0.047
H 4.529 -1.309 -2.396 0.082
H 2.267 -3.705 -4.054 0.093
H 0.930 -2.616 -4.445 0.065
H 1.222 -3.098 -2.766 0.051
H 2.802 1.974 -2.800 0.077
H 3.975 0.701 -2.959 0.074
H 2.859 2.509 2.879 0.074
H 3.685 1.030 3.282 0.082
H 1.576 2.401 6.050 0.067
H 1.124 3.897 5.242 0.089
H 2.544 3.007 4.710 0.069
H -0.409 1.070 5.732 0.068
H -1.374 1.181 4.261 0.040
H -1.163 2.605 5.295 0.093
H 1.029 3.646 2.553 0.081
H -0.464 3.934 3.452 0.084
H -0.400 2.667 2.207 0.039
H 3.177 0.511 5.572 0.077
H 2.786 -1.100 6.176 0.089
H 1.602 0.196 6.325 0.065
H 3.879 -0.977 3.644 0.081
H 2.682 -1.674 2.546 0.045
H 3.005 -2.447 4.089 0.100
H -0.272 -1.051 4.903 0.061
H 0.860 -2.356 5.277 0.093
H 0.336 -2.108 3.609 0.040
H 5.528 2.308 2.625 0.102
H 7.587 2.934 1.388 0.095
H 7.694 2.707 -1.064 0.095
H 5.750 1.852 -2.342 0.101
H 0.844 2.695 -3.129 0.081
H -0.481 1.574 -2.793 0.035
H -0.436 2.466 -4.324 0.089
H 2.783 1.963 -4.772 0.071
H 1.394 2.232 -5.817 0.089
H 2.335 0.755 -5.977 0.065
H -0.791 -0.500 -4.445 0.053
H 0.473 -0.823 -5.638 0.067
H -0.546 0.608 -5.798 0.089
Se -2.146 -2.720 1.245 1.319
N -3.475 -2.321 2.290 -0.208
C -3.387 -1.011 2.560 -0.394
C -4.287 -0.273 3.365 0.002
C -4.102 1.072 3.445 -0.049
C -3.024 1.678 2.742 -0.160
N -2.151 1.034 2.007 0.106
C -2.325 -0.311 1.922 -0.437
N -1.516 -1.058 1.153 -0.289
H -5.100 -0.774 3.882 0.123
H -4.764 1.692 4.035 0.108
H -2.887 2.754 2.813 0.117
O 0.404 -3.443 1.849 -0.573
Se 1.158 -3.464 0.384 0.764
O 1.805 -4.878 -0.058 -0.428
O 2.233 -2.173 0.435 -0.570
O 0.017 -2.813 -0.684 -0.637
C -2.768 1.882 -1.075 -0.010
C -2.638 0.502 -1.631 -0.368
N -1.551 -0.242 -1.617 0.035
C -1.865 -1.388 -2.342 -0.152
C -3.141 -1.321 -2.791 -0.024
N -3.621 -0.100 -2.344 0.001
C -4.945 0.466 -2.596 -0.065
N -5.980 -0.519 -2.616 -0.072
N -6.566 -0.815 -3.817 0.063
N -7.411 -1.762 -3.640 0.080
C -7.371 -2.125 -2.295 -0.232
C -8.090 -3.109 -1.614 -0.010
C -7.830 -3.264 -0.273 -0.075
C -6.869 -2.461 0.387 -0.071
C -6.158 -1.486 -0.276 -0.003
C -6.448 -1.341 -1.639 -0.182
H -1.869 2.133 -0.520 0.071
H -3.610 1.974 -0.384 0.074
H -2.901 2.615 -1.875 0.093
H -1.152 -2.190 -2.464 0.089
H -3.738 -1.997 -3.386 0.128

# Brief
What is needed: restate the lines earlier on up to the one that holds "2.813 0.117", that line included.

# Written answer
18
Properties=species:S:1:pos:R:3:lowdin_charge:R:1 method="wB97M-V/def2-TZVPD" gap_ev=9.9 smiles=N[C@H](CO)CCO e_homo_ev=-8.95 multiplicity=1 lumo_energy_ev=0.9 charge=0 energy_ev=-9910.30459
C -1.440 -1.042 0.601 -0.249
O -2.532 -1.616 -0.108 -0.051
C -0.487 -0.103 -0.128 -0.394
C 0.825 0.132 0.683 -0.124
C 1.807 0.847 -0.219 -0.265
O 2.719 -0.053 -0.865 -0.075
N -1.164 1.169 -0.460 0.042
H -0.759 -1.860 0.852 0.110
H -1.787 -0.642 1.563 0.129
H -2.287 -2.515 -0.308 0.077
H -0.286 -0.582 -1.099 0.141
H 0.472 0.782 1.483 0.122
H 1.145 -0.896 0.868 0.118
H 1.238 1.300 -1.037 0.108
H 2.412 1.613 0.272 0.114
H -2.145 1.193 -0.240 0.067
H 2.929 0.313 -1.731 0.082
H -0.661 1.960 -0.127 0.048

118
Properties=species:S:1:pos:R:3:lowdin_charge:R:1 method="wB97M-V/def2-TZVPD" gap_ev=5.9 e_homo_ev=-7.51 multiplicity=1 lumo_energy_ev=-1.6 charge=0 energy_ev=-216503.55988
Y 0.566 -0.554 0.093 1.302
C 3.432 -1.416 -4.837 -0.092
C 2.683 -1.651 -3.528 -0.695
C 3.702 -2.023 -2.441 -0.082
C 1.709 -2.828 -3.705 -0.090
P 1.723 -0.190 -2.876 1.122
C 3.072 0.992 -2.423 -0.321
N 3.330 1.067 -1.008 -0.039
B 2.407 0.878 0.116 -0.506
N 3.228 1.294 1.254 -0.033
C 2.896 1.445 2.651 -0.317
P 1.280 0.693 3.163 1.124
C 0.588 2.155 4.109 -0.682
C 1.526 2.889 5.079 -0.087
C -0.660 1.716 4.890 -0.100
C 0.164 3.152 3.006 -0.114
C 1.819 -0.668 4.318 -0.702
C 2.370 -0.220 5.671 -0.091
C 2.906 -1.474 3.594 -0.089
C 0.604 -1.591 4.533 -0.099
C 4.494 1.704 0.828 -0.176
C 5.574 2.196 1.547 -0.018
C 6.730 2.551 0.846 -0.106
C 6.790 2.422 -0.538 -0.106
C 5.698 1.935 -1.262 -0.018
C 4.556 1.570 -0.564 -0.175
C 0.958 0.817 -4.268 -0.682
C 0.178 1.950 -3.574 -0.103
C 1.940 1.466 -5.254 -0.089
C -0.032 -0.036 -5.073 -0.088
H 4.105 -2.266 -5.003 0.091
H 4.047 -0.513 -4.817 0.074
H 2.761 -1.359 -5.698 0.069
H 4.124 -3.005 -2.689 0.099
H 3.271 -2.098 -1.443 0.047
H 4.529 -1.309 -2.396 0.082
H 2.267 -3.705 -4.054 0.093
H 0.930 -2.616 -4.445 0.065
H 1.222 -3.098 -2.766 0.051
H 2.802 1.974 -2.800 0.077
H 3.975 0.701 -2.959 0.074
H 2.859 2.509 2.879 0.074
H 3.685 1.030 3.282 0.082
H 1.576 2.401 6.050 0.067
H 1.124 3.897 5.242 0.089
H 2.544 3.007 4.710 0.069
H -0.409 1.070 5.732 0.068
H -1.374 1.181 4.261 0.040
H -1.163 2.605 5.295 0.093
H 1.029 3.646 2.553 0.081
H -0.464 3.934 3.452 0.084
H -0.400 2.667 2.207 0.039
H 3.177 0.511 5.572 0.077
H 2.786 -1.100 6.176 0.089
H 1.602 0.196 6.325 0.065
H 3.879 -0.977 3.644 0.081
H 2.682 -1.674 2.546 0.045
H 3.005 -2.447 4.089 0.100
H -0.272 -1.051 4.903 0.061
H 0.860 -2.356 5.277 0.093
H 0.336 -2.108 3.609 0.040
H 5.528 2.308 2.625 0.102
H 7.587 2.934 1.388 0.095
H 7.694 2.707 -1.064 0.095
H 5.750 1.852 -2.342 0.101
H 0.844 2.695 -3.129 0.081
H -0.481 1.574 -2.793 0.035
H -0.436 2.466 -4.324 0.089
H 2.783 1.963 -4.772 0.071
H 1.394 2.232 -5.817 0.089
H 2.335 0.755 -5.977 0.065
H -0.791 -0.500 -4.445 0.053
H 0.473 -0.823 -5.638 0.067
H -0.546 0.608 -5.798 0.089
Se -2.146 -2.720 1.245 1.319
N -3.475 -2.321 2.290 -0.208
C -3.387 -1.011 2.560 -0.394
C -4.287 -0.273 3.365 0.002
C -4.102 1.072 3.445 -0.049
C -3.024 1.678 2.742 -0.160
N -2.151 1.034 2.007 0.106
C -2.325 -0.311 1.922 -0.437
N -1.516 -1.058 1.153 -0.289
H -5.100 -0.774 3.882 0.123
H -4.764 1.692 4.035 0.108
H -2.887 2.754 2.813 0.117